Material:
<<<
Entry 1:
Structure and calculated XRD peak list of NaLiAl4Si2O12 (a crystal structure in Alexandria, relaxed with GGA-PBE; λ = 1.5418 Å (Cu Kα)).
Kinematic intensities with the Lorentz-polarization factor, no thermal factor.

Top 10 peaks for 15 to 90 degrees two-theta, low angle first:
hkl 1 1 0, d 4.572, 19.4 deg, I = 37; hkl 1 1 -1, d 4.525, 19.6 deg, I = 65; hkl 1 1 -4, d 3.451, 25.8 deg, I = 34; hkl 0 2 4, d 3.309, 26.9 deg, I = 37; hkl 0 0 6, d 3.221, 27.7 deg, I = 100; hkl 1 1 4, d 3.204, 27.8 deg, I = 35; hkl 2 0 -2, d 2.610, 34.4 deg, I = 31; hkl 1 3 1, d 2.589, 34.6 deg, I = 70; hkl 1 3 9, d 1.629, 56.5 deg, I = 34; hkl 3 3 -1, d 1.528, 60.6 deg, I = 44

Crystal structure
a = 5.3114 Å, b = 9.0817 Å, c = 19.3990 Å
α = 90.00°, β = 94.93°, γ = 90.00°
Space group Cc (No. 9)
Unique sites:
Na 0.0000 0.0840 0.0000 x4
Li 0.2603 0.2451 0.2492 x4
Al 0.0480 0.2489 0.6057 x4
Al 0.2195 0.4094 0.7500 x4
Al 0.2809 0.0959 0.7497 x4
Al 0.4585 0.0756 0.3938 x4
Si 0.0383 0.4189 0.1052 x4
Si 0.4496 0.2550 0.8945 x4
O 0.0291 0.0397 0.2156 x4
O 0.0434 0.4310 0.1930 x4
O 0.1118 0.2524 0.6980 x4
O 0.1356 0.4240 0.5771 x4
O 0.2238 0.2845 0.0865 x4
O 0.2465 0.1130 0.5754 x4
O 0.2507 0.2171 0.4132 x4
O 0.2751 0.3853 0.9232 x4
O 0.3632 0.0961 0.9237 x4
O 0.3940 0.2508 0.8068 x4
O 0.4546 0.0594 0.3013 x4
O 0.4681 0.4560 0.2840 x4

=====

Entry 2:
Structure and calculated XRD peak list of MnFe14Ge (a crystal structure in Alexandria, relaxed with GGA-PBE; λ = 1.5418 Å (Cu Kα)).
Kinematic intensities with the Lorentz-polarization factor, no thermal factor.

Top 5 peaks for 15 to 90 degrees two-theta, low angle first:
hkl 2 2 2, d 2.014, 45.0 deg, I = 100; hkl 0 4 4, d 1.425, 65.5 deg, I = 10; hkl 4 0 0, d 1.422, 65.7 deg, I = 5; hkl 2 6 2, d 1.163, 83.0 deg, I = 19; hkl 4 4 0, d 1.162, 83.1 deg, I = 10

Crystal structure
a = 5.6877 Å, b = 8.0554 Å, c = 8.0671 Å
α = 90.00°, β = 90.00°, γ = 90.00°
Space group Cmmm (No. 65)
Unique sites:
Mn 0.0000 0.0000 0.0000 x2
Fe 0.0000 0.0000 0.5000 x2
Fe 0.0000 0.2510 0.2498 x8
Fe 0.0000 0.5000 0.5000 x2
Fe 0.2466 0.0000 0.2533 x8
Fe 0.2500 0.2500 0.0000 x4
Fe 0.2500 0.2500 0.5000 x4
Ge 0.0000 0.5000 0.0000 x2

=====

Entry 3:
Structure and calculated XRD peak list of BaMg2GaAu4 (a crystal structure in Alexandria, relaxed with GGA-PBE; λ = 1.5418 Å (Cu Kα)).
Kinematic intensities with the Lorentz-polarization factor, no thermal factor.

Top 10 peaks for 15 to 90 degrees two-theta, low angle first:
hkl 0 1 2, d 3.861, 23.0 deg, I = 25; hkl 1 0 4, d 3.516, 25.3 deg, I = 46; hkl 0 1 5, d 3.310, 26.9 deg, I = 18; hkl 1 0 7, d 2.900, 30.8 deg, I = 63; hkl 0 1 8, d 2.710, 33.1 deg, I = 49; hkl 1 1 0, d 2.310, 39.0 deg, I = 100; hkl 0 1 11, d 2.226, 40.5 deg, I = 49; hkl 1 1 15, d 1.497, 62.0 deg, I = 25; hkl 3 0 0, d 1.334, 70.6 deg, I = 18; hkl 1 2 11, d 1.317, 71.7 deg, I = 18

Crystal structure
a = 4.6199 Å, b = 4.6199 Å, c = 29.4678 Å
α = 90.00°, β = 90.00°, γ = 120.00°
Space group R-3m (No. 166, hexagonal axes)
Unique sites:
Ba 0.0000 0.0000 0.0000 x3
Mg 0.0000 0.0000 0.2315 x6
Ga 0.0000 0.0000 0.5000 x3
Au 0.0000 0.0000 0.1332 x6
Au 0.0000 0.0000 0.4068 x6

=====

Entry 4:
Structure and calculated XRD peak list of Cd4InHg9 (a crystal structure in Alexandria, relaxed with GGA-PBE; λ = 1.5418 Å (Cu Kα)).
Kinematic intensities with the Lorentz-polarization factor, no thermal factor.

Top 10 peaks for 15 to 90 degrees two-theta, low angle first:
hkl 1 1 2, d 3.141, 28.4 deg, I = 50; hkl 1 -3 1, d 3.002, 29.8 deg, I = 81; hkl -3 1 1, d 2.939, 30.4 deg, I = 78; hkl 3 -3 0, d 2.676, 33.5 deg, I = 85; hkl 0 3 -1, d 2.671, 33.5 deg, I = 77; hkl 3 0 -1, d 2.642, 33.9 deg, I = 100; hkl 2 -2 3, d 2.592, 34.6 deg, I = 96; hkl -2 2 3, d 2.447, 36.7 deg, I = 54; hkl 1 2 2, d 2.416, 37.2 deg, I = 53; hkl 1 1 -4, d 2.275, 39.6 deg, I = 38

Crystal structure
a = 9.2962 Å, b = 9.3119 Å, c = 9.7939 Å
α = 96.78°, β = 90.95°, γ = 119.77°
Space group P-1 (No. 2)
Unique sites:
Cd 0.0000 0.0000 0.0000 x1
Cd 0.0000 0.0000 0.5000 x1
>>>

Request:
What is needed: print everything further up without additions.

Response:
Entry 1:
Structure and calculated XRD peak list of NaLiAl4Si2O12 (a crystal structure in Alexandria, relaxed with GGA-PBE; λ = 1.5418 Å (Cu Kα)).
Kinematic intensities with the Lorentz-polarization factor, no thermal factor.

Top 10 peaks for 15 to 90 degrees two-theta, low angle first:
hkl 1 1 0, d 4.572, 19.4 deg, I = 37; hkl 1 1 -1, d 4.525, 19.6 deg, I = 65; hkl 1 1 -4, d 3.451, 25.8 deg, I = 34; hkl 0 2 4, d 3.309, 26.9 deg, I = 37; hkl 0 0 6, d 3.221, 27.7 deg, I = 100; hkl 1 1 4, d 3.204, 27.8 deg, I = 35; hkl 2 0 -2, d 2.610, 34.4 deg, I = 31; hkl 1 3 1, d 2.589, 34.6 deg, I = 70; hkl 1 3 9, d 1.629, 56.5 deg, I = 34; hkl 3 3 -1, d 1.528, 60.6 deg, I = 44

Crystal structure
a = 5.3114 Å, b = 9.0817 Å, c = 19.3990 Å
α = 90.00°, β = 94.93°, γ = 90.00°
Space group Cc (No. 9)
Unique sites:
Na 0.0000 0.0840 0.0000 x4
Li 0.2603 0.2451 0.2492 x4
Al 0.0480 0.2489 0.6057 x4
Al 0.2195 0.4094 0.7500 x4
Al 0.2809 0.0959 0.7497 x4
Al 0.4585 0.0756 0.3938 x4
Si 0.0383 0.4189 0.1052 x4
Si 0.4496 0.2550 0.8945 x4
O 0.0291 0.0397 0.2156 x4
O 0.0434 0.4310 0.1930 x4
O 0.1118 0.2524 0.6980 x4
O 0.1356 0.4240 0.5771 x4
O 0.2238 0.2845 0.0865 x4
O 0.2465 0.1130 0.5754 x4
O 0.2507 0.2171 0.4132 x4
O 0.2751 0.3853 0.9232 x4
O 0.3632 0.0961 0.9237 x4
O 0.3940 0.2508 0.8068 x4
O 0.4546 0.0594 0.3013 x4
O 0.4681 0.4560 0.2840 x4

=====

Entry 2:
Structure and calculated XRD peak list of MnFe14Ge (a crystal structure in Alexandria, relaxed with GGA-PBE; λ = 1.5418 Å (Cu Kα)).
Kinematic intensities with the Lorentz-polarization factor, no thermal factor.

Top 5 peaks for 15 to 90 degrees two-theta, low angle first:
hkl 2 2 2, d 2.014, 45.0 deg, I = 100; hkl 0 4 4, d 1.425, 65.5 deg, I = 10; hkl 4 0 0, d 1.422, 65.7 deg, I = 5; hkl 2 6 2, d 1.163, 83.0 deg, I = 19; hkl 4 4 0, d 1.162, 83.1 deg, I = 10

Crystal structure
a = 5.6877 Å, b = 8.0554 Å, c = 8.0671 Å
α = 90.00°, β = 90.00°, γ = 90.00°
Space group Cmmm (No. 65)
Unique sites:
Mn 0.0000 0.0000 0.0000 x2
Fe 0.0000 0.0000 0.5000 x2
Fe 0.0000 0.2510 0.2498 x8
Fe 0.0000 0.5000 0.5000 x2
Fe 0.2466 0.0000 0.2533 x8
Fe 0.2500 0.2500 0.0000 x4
Fe 0.2500 0.2500 0.5000 x4
Ge 0.0000 0.5000 0.0000 x2

=====

Entry 3:
Structure and calculated XRD peak list of BaMg2GaAu4 (a crystal structure in Alexandria, relaxed with GGA-PBE; λ = 1.5418 Å (Cu Kα)).
Kinematic intensities with the Lorentz-polarization factor, no thermal factor.

Top 10 peaks for 15 to 90 degrees two-theta, low angle first:
hkl 0 1 2, d 3.861, 23.0 deg, I = 25; hkl 1 0 4, d 3.516, 25.3 deg, I = 46; hkl 0 1 5, d 3.310, 26.9 deg, I = 18; hkl 1 0 7, d 2.900, 30.8 deg, I = 63; hkl 0 1 8, d 2.710, 33.1 deg, I = 49; hkl 1 1 0, d 2.310, 39.0 deg, I = 100; hkl 0 1 11, d 2.226, 40.5 deg, I = 49; hkl 1 1 15, d 1.497, 62.0 deg, I = 25; hkl 3 0 0, d 1.334, 70.6 deg, I = 18; hkl 1 2 11, d 1.317, 71.7 deg, I = 18

Crystal structure
a = 4.6199 Å, b = 4.6199 Å, c = 29.4678 Å
α = 90.00°, β = 90.00°, γ = 120.00°
Space group R-3m (No. 166, hexagonal axes)
Unique sites:
Ba 0.0000 0.0000 0.0000 x3
Mg 0.0000 0.0000 0.2315 x6
Ga 0.0000 0.0000 0.5000 x3
Au 0.0000 0.0000 0.1332 x6
Au 0.0000 0.0000 0.4068 x6

=====

Entry 4:
Structure and calculated XRD peak list of Cd4InHg9 (a crystal structure in Alexandria, relaxed with GGA-PBE; λ = 1.5418 Å (Cu Kα)).
Kinematic intensities with the Lorentz-polarization factor, no thermal factor.

Top 10 peaks for 15 to 90 degrees two-theta, low angle first:
hkl 1 1 2, d 3.141, 28.4 deg, I = 50; hkl 1 -3 1, d 3.002, 29.8 deg, I = 81; hkl -3 1 1, d 2.939, 30.4 deg, I = 78; hkl 3 -3 0, d 2.676, 33.5 deg, I = 85; hkl 0 3 -1, d 2.671, 33.5 deg, I = 77; hkl 3 0 -1, d 2.642, 33.9 deg, I = 100; hkl 2 -2 3, d 2.592, 34.6 deg, I = 96; hkl -2 2 3, d 2.447, 36.7 deg, I = 54; hkl 1 2 2, d 2.416, 37.2 deg, I = 53; hkl 1 1 -4, d 2.275, 39.6 deg, I = 38

Crystal structure
a = 9.2962 Å, b = 9.3119 Å, c = 9.7939 Å
α = 96.78°, β = 90.95°, γ = 119.77°
Space group P-1 (No. 2)
Unique sites:
Cd 0.0000 0.0000 0.0000 x1
Cd 0.0000 0.0000 0.5000 x1